How to Choose a PR Firm
Maximize Your $$$ Spent on PR! If you find that your PR firm doesn’t understand your practice or the culture in your firm, you’ll likely be very frustrated. At some point in time, you’ll find yourself asking “Why do I always end up substantially changing their work? Why do I have to teach them [...]
How to Get an E-Newsletter Up and Running without Losing Your Mind!
E-newsletters can be an effective business development tool - but getting started can be a challenge. How can an e-newsletter be beneficial to your firm’s marketing efforts? What must be done for your firm to create a successful newsletter? What about the database? Here is an edited Q&A session from "Big News for Small Firms," The [...]
Article: How to Get an E-Newsletter Up & Running without Losing Your Mind!
E-newsletters can be an effective business development tool - but getting started can be a challenge. Here is an edited Q&A session with marketing guru Kevin W. Brown, M.B.A. exploring the issues: Q. Some of our professionals think an e-newsletter would be a great idea, while others think no one will read it. Which [...]
Article – How to Select a Marketing Consultant
-- Attached: materials data --
This record from Alexandria describes crystalline Dy2AlCrO6 at its relaxed geometry. The functional is PBE with a Hubbard U.

a b c (Å): 5.3167 5.3167 3.9983
angles (deg): 90.00 90.00 90.00
Fractional coordinates of all 10 atoms:
Dy 0.0000 0.5000 0.0000
Dy 0.5000 0.0000 0.0000
Al 0.0000 0.0000 0.5780
Cr 0.5000 0.5000 0.5955
O 0.0000 0.0000 0.1202
O 0.2430 0.2430 0.6448
O 0.2430 0.7570 0.6448
O 0.5000 0.5000 0.1061
O 0.7570 0.2430 0.6448
O 0.7570 0.7570 0.6448

Crystal system: tetragonal
Total energy, eV/cell: -79.0
Magnetization, μB per atom: 0.3000


8
Lattice="3.5036 0.0000 0.0000 0.0000 3.5036 0.0000 0.0000 0.0000 7.7188" Properties=species:S:1:pos:R:3 comment="Be2CuAs PBE optimized geometry" delta_e_f_ev_per_atom=0.27 magmom_total_mub_per_atom=0.0000 sg="I-4m2 (119)" pbc="T T T"
Be 0.0000 0.0000 0.0000
Be 0.0000 1.7518 1.9297
Be 1.7518 0.0000 5.7891
Be 1.7518 1.7518 3.8594
Cu 0.0000 0.0000 3.8594
-- So much for the materials data --
Key Questions for Screening For years, professional services firms have utilized outside marketing consultants to assist in their marketing efforts. Many of these consultants have performed exceptionally and added tremendous value to their clients’ marketing efforts. However, some of these consultants have not performed as well, leaving an unfavorable impression for any future consultants. [...]
How to Select a
Marketing Consultant
Key Questions for Screening If you're searching for a qualified marketing consultant, it can be frustrating. While some consultants perform exceptionally well and add tremendous value, the vast majority who call themselves "marketing consultants" are massively underqualified (many cannot even properly define the term "marketing!"). Searching Google provides a wild array of hundreds of [...]
How to Market Your Business Regularly to Clients & Prospects?
Our latest issue of “Marketing Strategies” has just been published. Topic: "How to Market Your Business Regularly to Clients & Prospects?" Excerpt: • Are you looking for a system to regularly communicate to your customers, prospects and key contacts? • Are you frustrated that your target market lacks awareness of your branding and services? • [...]
How to Market Your Firm
Regularly to Clients & Prospects?
The power of a “Digital Communications System” Are you looking for a system to regularly communicate to your clients, prospects and key contacts? Are you frustrated that your target market lacks awareness of your branding and services? Do you have great client and prospects lists - but don’t have an effective method to keep [...]
Marketing Strategies – Want to Grow Your Firm in 2024
Our latest issue of “Marketing Strategies” has just been published. Topic: "Want to Grow Your Firm in 2024?" Excerpt: Far too many firms jump into the marketing process without a clear vision and understanding of what they want to achieve and how they are going to accomplish it. Strategic marketing planning is the single most [...]
Marketing Strategies – 20 Signs That Your Website Needs Updating
Our latest issue of “Marketing Strategies” has just been published. Topic: "20 Signs That Your Website Needs Updating" Excerpt: You might have suspected that your website needs work. Here are a few questions to consider in your evaluation ... Read this newsletter